1.
Simulated X-ray powder pattern
Compound: KSrRhO3
Radiation: Cu Kα, 1.54184 Å
Structure: a cell relaxed with PBE
Kinematic intensities with the Lorentz-polarization factor, no thermal factor.

Cell and atoms:
a = 13.515 Å, b = 3.996 Å, c = 7.752 Å
α = 90.00°, β = 106.10°, γ = 90.00°
Space group C2/m (No. 12)
Inequivalent atoms, fractional coordinates:
1 K 0.144 0.000 0.067
2 Sr 0.151 0.000 0.579
3 Rh 0.004 0.500 0.273
4 O 0.004 0.000 0.283
5 O 0.146 0.500 0.792
6 O 0.156 0.500 0.358

Largest 10 diffraction maxima, in order of rising 2θ, 2θ = 10–80°:
Position (°2θ)	I_rel
11.88	36
13.64	36
30.45	60
30.81	40
31.13	40
32.18	100
41.73	35
45.40	24
46.88	20
53.86	17



2.
Simulated X-ray powder pattern
Compound: KTcRhO4
Radiation: Cu Kα, 1.54184 Å
Structure: a cell relaxed with PBE
Kinematic intensities with the Lorentz-polarization factor, no thermal factor.

Cell and atoms:
a = 5.329 Å, b = 6.104 Å, c = 7.324 Å
α = 90.00°, β = 104.45°, γ = 90.00°
Space group P2_1/m (No. 11)
Inequivalent atoms, fractional coordinates:
1 K 0.248 0.250 0.044
2 Tc 0.303 0.750 0.345
3 Rh 0.093 0.250 0.502
4 O 0.037 0.529 0.325
5 O 0.344 0.750 0.108
6 O 0.466 0.250 0.429

Largest 10 diffraction maxima, in order of rising 2θ, 2θ = 10–80°:
Position (°2θ)	I_rel
12.48	100
19.19	27
23.72	39
29.26	42
30.53	20
31.92	13
37.03	21
37.85	18
38.01	14
40.56	23

~~~~~

Entry 1:
For Co6P4Au, DFT lattice parameters and positions (PBE) gives the computed X-ray powder pattern in this record (λ = 1.5418 Å (Cu Kα)).

Crystal structure
```
11
Lattice="6.6035 0.0000 0.0000 -3.3017 5.7188 0.0000 0.0000 0.0000 3.3107" Properties=species:S:1:pos:R:3 pbc="T T T"
Co -1.3639 3.0251 0.0000
Co 0.0000 1.4959 1.6554
Co -2.0063 4.9708 1.6554
Co 1.3639 3.0251 0.0000
Co 0.0000 5.3874 0.0000
Co 2.0063 4.9708 1.6554
P 1.4264 0.8235 0.0000
P 0.0000 3.8125 1.6554
P 5.1771 0.8235 0.0000
P 3.3017 4.0717 0.0000
Au 3.3017 1.9063 1.6554
```

Peak list (10 most intense, 2θ = 10–90°, by angle)
d_spacing  Rel. int.
5.719  21
3.304  11
2.862  30
2.338  29
2.163  100
1.655  11
1.651  27
1.430  12
1.314  11
1.169  11

Entry 2:
For CoPb2Au, DFT lattice parameters and positions (PBE) gives the computed X-ray powder pattern in this record (λ = 1.5418 Å (Cu Kα)).

Crystal structure
```
4
Lattice="0.0000 3.5179 3.5179 3.5179 0.0000 3.5179 3.5179 3.5179 0.0000" Properties=species:S:1:pos:R:3 pbc="T T T"
Co 0.0000 0.0000 0.0000
Pb 1.7590 1.7590 1.7590
Pb 3.5179 3.5179 3.5179
Au 5.2769 5.2769 5.2769
```

Peak list (10 most intense, 2θ = 10–90°, by angle)
d_spacing  Rel. int.
4.062  10
3.518  5
2.488  100
2.121  6
1.759  18
1.614  3
1.573  2
1.436  37
1.244  12
1.112  17

Entry 3:
For RbCoAuS3, DFT lattice parameters and positions (PBE) gives the computed X-ray powder pattern in this record (λ = 1.5418 Å (Cu Kα)).

Crystal structure
```
12
Lattice="1.7361 -8.0951 0.0000 1.7361 8.0951 0.0000 0.0000 0.0000 9.5753" Properties=species:S:1:pos:R:3 pbc="T T T"
Rb 1.7361 4.5180 7.1815
Rb 1.7361 -4.5180 2.3938
Co 1.7361 0.0000 0.0000
Co 1.7361 0.0000 4.7877
Au 1.7361 6.4648 2.3938
Au 1.7361 -6.4648 7.1815
S 1.7361 6.5850 0.0765
S 1.7361 6.5850 4.7112
S 1.7361 0.5823 2.3938
S 1.7361 -0.5823 7.1815
S 1.7361 -6.5850 4.8642
S 1.7361 -6.5850 9.4989
```

Peak list (10 most intense, 2θ = 10–90°, by angle)
d_spacing  Rel. int.
8.095  40
6.182  82
4.788  39
3.728  27
2.920  31
2.793  100
2.769  27

It remains to work out how many lines further above have the word "relaxed" in them; a number is enough.

2